
Israel pressures US Congress to block any Iran deal

Israel pressures US Congress to block any Iran deal
As the clock ticks on a possible nuclear deal between Iran, US and other powers, Israel plans to sabotage any accord through targeted pressure on members of the US Congress.
3 min read
06 July, 2015
US House Speaker John Boehner (L) with Israeli PM [Getty]

-- begin --
Record 1
H3AuC2NCl: relaxed, GGA-PBE.

extended XYZ file:
```
16
Lattice="-3.664 -0.631 5.481 1.680 -4.050 0.657 6.942 3.487 5.042" Properties=species:S:1:pos:R:3 pbc="T T T"
C 0.652 -1.471 2.702
C 1.881 0.311 7.483
C 2.906 -1.534 3.954
C 3.908 0.209 9.074
Au 0.279 0.375 6.410
Au 4.517 -1.597 5.014
Cl 4.709 2.414 5.669
Cl 0.028 -3.646 5.844
N 2.820 0.262 8.175
N 1.903 -1.497 3.358
H 3.837 1.056 9.768
H 0.049 -0.646 3.107
H 0.134 -2.420 2.890
H 3.859 -0.729 9.646
H 0.802 -1.336 1.624
H 4.851 0.261 8.517
```

- crystal system = monoclinic
- largest piezoelectric modulus (C/m2) = 0.11
- SG = No. 4

=====

Record 2
TiCr: relaxed, GGA-PBE.

extended XYZ file:
```
2
Lattice="0.884 2.366 -1.015 0.613 -2.077 -1.649 -3.517 0.489 -1.923" Properties=species:S:1:pos:R:3 pbc="T T T"
Cr 0.000 0.000 0.000
Ti -1.010 0.389 -2.293
```

- crystal system = orthorhombic
- SG = No. 65

=====

no.,magnetic moment (μB/atom),DFT total energy (eV per atom)
1,0.000,-5.32
2,0.001,-8.63

=====

The following is a DFT calculation (PBE) of a geometry-optimized TeS3N2 structure.

Output
Distance to the lowest polymorph of the same formula   208 meV/atom
Symmetry   Pnma
M_tot   0.821 μB/f.u.
Volume   618.93 Å³ per cell

abc: 7.6383 11.5429 7.0199
angles: 90.00 90.00 90.00
With the nearest neighbours (Å) after each atom.
Positions (direct):
Te  0.1949  0.2500  0.1094  2 N 2.15
Te  0.3051  0.7500  0.6094  2 N 2.15
Te  0.6949  0.2500  0.3906  2 N 2.15
Te  0.8051  0.7500  0.8906  2 N 2.15
S  0.0094  0.5412  0.8814  1 S 1.92
S  0.0094  0.9588  0.8814  1 S 1.92
S  0.0415  0.7500  0.3572  2 N 1.57
S  0.4585  0.2500  0.8572  2 N 1.57
S  0.4906  0.0412  0.3814  1 S 1.92
S  0.4906  0.4588  0.3814  1 S 1.92
S  0.5094  0.5412  0.6186  1 S 1.92
S  0.5094  0.9588  0.6186  1 S 1.92
S  0.5415  0.7500  0.1428  2 N 1.57
S  0.9585  0.2500  0.6428  2 N 1.57
S  0.9906  0.0412  0.1186  1 S 1.92
S  0.9906  0.4588  0.1186  1 S 1.92
N  0.1371  0.6408  0.4419  1 S 1.57
N  0.1371  0.8592  0.4419  1 S 1.57
N  0.3629  0.1408  0.9419  1 S 1.57
N  0.3629  0.3592  0.9419  1 S 1.57
N  0.6371  0.6408  0.0581  1 S 1.57
N  0.6371  0.8592  0.0581  1 S 1.57
N  0.8629  0.1408  0.5581  1 S 1.57
N  0.8629  0.3592  0.5581  1 S 1.57

=====

(1)
Computed, not measured: crystalline Li4Ti3Mn3W2O16 at its relaxed geometry at the PBE+U level of DFT.

Calculated values
Formation energy from the elements in meV per atom: -2589
VASP energy in eV per atom: -7.554
Symmetry: P1

abc: 6.151 6.041 9.869
angles: 90.24 91.55 119.71
Sites, in units of the cell vectors:
Li (0.313, 0.658, 0.905)
Li (0.003, 0.001, 0.984)
Li (0.021, 0.010, 0.493)
Li (0.651, 0.328, 0.409)
Ti (0.192, 0.852, 0.215)
Ti (0.169, 0.341, 0.217)
Ti (0.345, 0.190, 0.723)
Mn (0.665, 0.825, 0.208)
Mn (0.846, 0.660, 0.705)
Mn (0.832, 0.170, 0.708)
W (0.341, 0.671, 0.489)
W (0.681, 0.340, 0.985)
O (0.181, 0.835, 0.589)
O (0.047, 0.521, 0.340)
O (0.301, 0.651, 0.110)
O (0.020, 0.007, 0.304)
O (0.024, 0.010, 0.799)
O (0.188, 0.347, 0.596)
O (0.459, 0.963, 0.341)
-- stop --

The statements and warnings that Israeli Prime Minister Benjamin Netanyahu had issued in the past two days over the "further concessions" that Western countries are making to Iran in a forthcoming Nuclear deal, reflect an Israeli recognition that the deal is imminent, a deal that Israelis classify as "bad".

1.
DFT (PBE) results for a geometry-optimized Sc2H10S3O17 structure.

Cell lengths 6.797, 11.240, 12.403 Å; angles 91.82, 94.86, 101.04 degrees
Fractional positions:
Sc 0.000 0.000 0.000
Sc 0.000 0.000 0.500
Sc 0.414 0.735 0.261
Sc 0.586 0.265 0.739
H 0.177 0.237 0.021
H 0.204 0.114 0.376
H 0.214 0.452 0.223
H 0.230 0.366 0.705
H 0.280 0.864 0.823
H 0.288 0.119 0.421
H 0.353 0.958 0.283
H 0.374 0.435 0.623
H 0.405 0.594 0.521
H 0.455 0.158 0.122
H 0.545 0.842 0.878
H 0.595 0.406 0.479
H 0.626 0.565 0.377
H 0.647 0.042 0.717
H 0.712 0.881 0.579
H 0.720 0.136 0.177
H 0.770 0.634 0.295
H 0.786 0.548 0.777
H 0.796 0.886 0.624
H 0.823 0.763 0.979
S 0.158 0.735 0.468
S 0.186 0.749 0.005
S 0.205 0.033 0.768
S 0.795 0.967 0.232
S 0.814 0.251 0.995
S 0.842 0.265 0.532
O 0.022 0.320 0.015
O 0.023 0.328 0.490
O 0.029 0.988 0.828
O 0.136 0.868 0.457
O 0.151 0.020 0.651
O 0.174 0.684 0.354
O 0.185 0.881 0.033
O 0.238 0.159 0.017
O 0.287 0.703 0.104
O 0.301 0.156 0.803
O 0.304 0.745 0.912
O 0.309 0.144 0.129
O 0.349 0.942 0.793
O 0.350 0.735 0.534
O 0.371 0.381 0.688
O 0.396 0.503 0.511
O 0.419 0.894 0.311
O 0.581 0.106 0.689
O 0.604 0.497 0.489
O 0.629 0.619 0.312
O 0.650 0.265 0.466
O 0.651 0.058 0.207
O 0.691 0.856 0.871
O 0.696 0.255 0.088
O 0.699 0.844 0.197
O 0.713 0.297 0.896
O 0.762 0.841 0.983
O 0.815 0.119 0.967
O 0.826 0.316 0.646
O 0.849 0.980 0.349
O 0.864 0.132 0.543
O 0.971 0.012 0.172
O 0.977 0.672 0.510
O 0.978 0.680 0.985

Properties
excess energy over the best structure of this formula in the dataset = 0.0 meV/atom
V = 925.6 Å³/cell
space group = P-1, No. 2
total magnetic moment = 1.00 μB per formula unit
energy relative to the elements = -1.564 eV/atom
energy with MP2020 corrections = -0.2218 hartree per atom

---

2.
DFT (PBE) results for a geometry-optimized SmHSO5 structure.

Cell lengths 4.494, 12.347, 7.050 Å; angles 90.00, 111.20, 90.00 degrees
Fractional positions:
Sm 0.160 0.063 0.302
Sm 0.160 0.437 0.802
Sm 0.840 0.563 0.198
Sm 0.840 0.937 0.698
H 0.212 0.658 0.984
H 0.212 0.842 0.484
H 0.788 0.158 0.516
H 0.788 0.342 0.016
S 0.404 0.147 0.886
S 0.404 0.353 0.386
S 0.596 0.647 0.614
S 0.596 0.853 0.114
O 0.204 0.067 0.952
O 0.204 0.433 0.452
O 0.219 0.247 0.822
O 0.219 0.253 0.322
O 0.238 0.585 0.045
O 0.238 0.915 0.545
O 0.297 0.668 0.444
O 0.297 0.832 0.944
O 0.465 0.098 0.710
O 0.465 0.402 0.210
O 0.535 0.598 0.790
O 0.535 0.902 0.290
O 0.703 0.168 0.056
O 0.703 0.332 0.556
O 0.762 0.085 0.455
O 0.762 0.415 0.955
O 0.781 0.747 0.678
O 0.781 0.753 0.178
O 0.796 0.567 0.548
O 0.796 0.933 0.048

Properties
V = 364.7 Å³/cell
space group = P2_1/c, No. 14
total magnetic moment = 0.00 μB per formula unit
energy relative to the elements = -2.524 eV/atom
energy with MP2020 corrections = -0.2627 hartree per atom

---

3.
DFT (PBE) results for a geometry-optimized SrH4S3O12 structure.

Cell lengths 6.041, 8.574, 10.390 Å; angles 81.47, 83.53, 70.83 degrees
Fractional positions:
Sr 0.002 0.261 0.441
Sr 0.998 0.739 0.559
H 0.007 0.978 0.867

Netanyahu's statements also reflect Israeli recognition of their failure to frustrate the ongoing negotiations, particularly after recent statements by US Secretary of State John Kerry about the two parties having made progress in the talks.

On their website, Israeli national daily newspaper Yedioth Ahronoth said that Tel Aviv, which seeks to make amendments to the agreement, is preparing to obstruct the agreement from being approved at its first stage when the US Congress gets to vote on it.

In case Congress rejected the agreement, Obama will be forced to exercise his right to veto its decision

The newspaper added that the Israeli government will exert pressure on members of the US Congress to oppose the agreement and prevent US President Barak Obama from ratifying it in case the agreement was submitted to Congress for endorsement before 9 July. Otherwise, the vote will have to wait sixty more days as Congress would leave for its August recess after the 30-day review period that legislation provides for.

In case Congress rejected the agreement, Obama will be forced to exercise his right to veto its decision and to decide on a time for another Congressional vote. However, Congress can override the veto with a difficult two-thirds majority.

Calculated crystals from another source follow:
┌──
No. 1
A plane-wave DFT calculation with PBE+U was carried out for an optimized crystal structure of KCaEuFeO6.

Lattice parameters (Å, degrees): 8.233 8.233 8.233 90.00 90.00 90.00
Space group F-43m (No. 216)
Unique sites:
K (0.000, 0.000, 0.000) [4 per cell]
Ca (0.000, 0.000, 0.500) [4 per cell]
Eu (0.250, 0.250, 0.250) [4 per cell]
Fe (0.250, 0.250, 0.750) [4 per cell]
O (0.021, 0.250, 0.750) [24 per cell]

Computed properties:
Magnetization   32.02 μB/cell

---

No. 2
A plane-wave DFT calculation with PBE+U was carried out for an optimized crystal structure of CaEuHfWO6.

Lattice parameters (Å, degrees): 8.192 8.192 8.192 90.00 90.00 90.00
Space group F-43m (No. 216)
Unique sites:
Ca (0.000, 0.000, 0.000) [4 per cell]
Eu (0.000, 0.000, 0.500) [4 per cell]
Hf (0.250, 0.250, 0.750) [4 per cell]
W (0.250, 0.250, 0.250) [4 per cell]
O (0.000, 0.250, 0.250) [24 per cell]

Computed properties:
Magnetization   36.00 μB/cell

---

No. 3
A plane-wave DFT calculation with PBE+U was carried out for an optimized crystal structure of KCaEuWO6.

Lattice parameters (Å, degrees): 8.390 8.390 8.390 90.00 90.00 90.00
Space group F-43m (No. 216)
Unique sites:
K (0.000, 0.000, 0.000) [4 per cell]
Ca (0.250, 0.250, 0.750) [4 per cell]
Eu (0.000, 0.000, 0.500) [4 per cell]
W (0.250, 0.250, 0.250) [4 per cell]
O (0.018, 0.250, 0.250) [24 per cell]

Computed properties:
Magnetization   24.00 μB/cell
Distance to the lowest polymorph of the same formula   43 meV/atom

---

No. 4
A plane-wave DFT calculation with PBE+U was carried out for an optimized crystal structure of KCaEuWO6.

Lattice parameters (Å, degrees): 8.379 8.388 8.454 90.00 90.00 90.00
Space group Pnnn (No. 48, origin choice 2)
Unique sites:
K (0.250, 0.250, 0.250) [2 per cell]
K (0.250, 0.750, 0.250) [2 per cell]
Ca (0.250, 0.250, 0.750) [2 per cell]
Ca (0.250, 0.750, 0.750) [2 per cell]
Eu (0.000, 0.000, 0.000) [4 per cell]
W (0.000, 0.000, 0.500) [4 per cell]
O (0.024, 0.229, 0.466) [8 per cell]
O (0.049, 0.033, 0.729) [8 per cell]
O (0.229, 0.533, 0.023) [8 per cell]

Computed properties:
Magnetization   24.00 μB/cell
Distance to the lowest polymorph of the same formula   0 meV/atom

---

No. 5
A plane-wave DFT calculation with PBE+U was carried out for an optimized crystal structure of KCaEuWO6.

Lattice parameters (Å, degrees): 8.444 8.444 8.444 90.00 90.00 90.00
Space group F-43m (No. 216)
Unique sites:
K (0.000, 0.000, 0.000) [4 per cell]
Ca (0.000, 0.000, 0.500) [4 per cell]
Eu (0.250, 0.250, 0.750) [4 per cell]
W (0.250, 0.250, 0.250) [4 per cell]
O (0.019, 0.250, 0.250) [24 per cell]

Computed properties:
Magnetization   24.00 μB/cell
Distance to the lowest polymorph of the same formula   41 meV/atom

---

No. 6
A plane-wave DFT calculation with PBE+U was carried out for an optimized crystal structure of CaEuMn4O12.

Lattice parameters (Å, degrees): 5.654 5.654 8.034 90.00 90.00 90.00
Space group P4/mmm (No. 123)
Unique sites:
Ca (0.000, 0.000, 0.000) [1 per cell]
└──

Israeli efforts to thwart an agreement is not limited to putting pressure on members of Congress but also through continuous talks with the British and French governments.

Haaretz, another Israeli newspaper, had pointed out that Israel depends to a certain degree on the stance of French Foreign Minister Laurent Fabius. Fabius is one of Europe's foreign ministers' most stringent supporters of imposing sanctions on Iran and he had the greatest influence on not allowing sanctions on Iran to be lifted until now.

Haaretz attributed Fabius' opposition to the current nuclear agreement to his tough stances towards Iran since the 1980s, when he was prime minister in President Francois Mitterrand's government. Fabius took Iraq's side during its war with Iran following the Islamic revolution. He also supported the Arab states' opposition to a nuclear agreement with Iran.

The paper pointed out that Fabius' participation in the negotiations would make it difficult to reach an agreement but at the same time it would ensure that, in case an agreement is reached, the Americans would announce that they were able to convince Fabius of the value of this agreement.
